Welcome to our 74th edition. The Carnival is weekly or bi-weekly, depending on the submissions, and the blood sugar levels of our pixel monkeys. (Except when it’s not.) Please enjoy responsibly:
Chainik Hocker has an excellent plan for how to vote for the next US President in: Democracy is survival of the craziest.
**Attached: calculated crystals:**
- - -
<one>
Fe3OF5 | the Materials Project database | PBE with a Hubbard U | optimized geometry; M_tot = 13.0 μB/f.u.
1.0
3.3438 -3.4631 0.0000
3.3438 3.4631 0.0000
0.0000 0.0000 9.6711
Fe O F
6 2 10
Cartesian
0.0513 0.0000 7.9740
0.1981 0.0000 4.8356
0.0513 0.0000 1.6971
3.2284 0.0000 6.4050
3.3801 0.0000 0.0000
3.2284 0.0000 3.2662
1.3096 0.0000 6.3528
1.3096 0.0000 3.3183
1.3548 0.0000 0.0000
3.3518 -1.3534 8.0016
3.3366 -1.4104 4.8356
3.3518 -1.3534 1.6696
3.3518 1.3534 8.0016
3.3366 1.4104 4.8356
3.3518 1.3534 1.6696
5.2782 0.0000 6.2997
5.4083 0.0000 0.0000
5.2782 0.0000 3.3714

---

<two>
Fe3OF5 | the Materials Project database | PBE with a Hubbard U | optimized geometry; M_tot = 13.0 μB/f.u.
1.0
5.7889 0.0000 0.0000
1.8657 5.5221 0.0000
2.2472 1.5564 6.9907
Fe O F
6 2 10
Cartesian
6.9129 4.9899 5.9170
4.0508 2.8871 4.5393
5.7388 4.1719 2.2927
3.0206 2.2736 1.1856
6.8888 0.7862 3.4634
1.9633 5.4230 0.0407
4.0916 2.9264 2.6651
3.0654 3.7655 0.0566
2.8693 4.5408 4.7210
4.6489 5.9464 2.2120
7.4922 5.4232 2.1761
4.0255 2.8270 6.6287
5.6956 4.0315 4.4565
5.9880 4.3026 0.2547
2.3983 1.7242 4.8101
7.0609 2.5323 2.2227
5.2218 1.2656 4.7024
4.6121 1.5543 0.0856

---

<three>
Fe3OF5 | the Materials Project database | PBE with a Hubbard U | optimized geometry; M_tot = 13.0 μB/f.u.
1.0
3.1921 0.0000 0.0000
0.0000 4.8497 0.0000
0.0000 0.2622 14.4729
Fe O F
6 2 10
Cartesian
0.0000 0.0000 0.0000
0.0000 0.1492 4.7850
0.0000 4.9628 9.6879
1.5960 2.3327 2.5694
1.5960 2.5560 7.2364
1.5960 2.7792 11.9035
0.0000 3.5595 11.1728
0.0000 1.5524 3.3001
1.5960 3.9052 3.7852
1.5960 4.0324 8.6373
1.5960 4.0615 13.5189
0.0000 3.3920 1.4720
0.0000 3.5314 6.2170
0.0000 1.5806 8.2558
0.0000 1.7199 13.0009
1.5960 1.0505 0.9540
1.5960 1.0796 5.8356
1.5960 1.2067 10.6877

---

Stability summary: most stable <three>, least stable <one>.

---

<one>
MgFe8O8F8 | the Materials Project database | PBE with a Hubbard U | optimized geometry; M_tot = 0.0 μB/f.u.
1.0
9.8262 0.0838 -0.0213
0.0850 9.7268 -0.0254
-0.0056 -0.0078 3.0904
Mg Fe O F
1 8 8 8
Cartesian
2.5551 4.9507 1.4618
9.8842 9.7072 3.0417
9.7782 4.9241 2.9970
2.0041 2.1563 1.5630
2.2802 7.5474 1.5098
5.5034 4.8883 3.0027
4.9444 0.1109 3.0793
7.5279 2.6911 1.4563
7.5330 7.1607 1.4696
0.9871 3.7821 1.4814
0.7189 8.7387 1.5167
1.3315 1.3046 0.0061
1.8452 6.0737 3.0181
5.9648 3.8602 1.4562
6.6176 6.3845 3.0090
8.3875 3.4614 3.0062
9.0250 5.9382 1.4571
3.3174 3.6697 2.9709
3.5027 8.4659 -0.0017
3.8237 1.2259 1.5362
4.3122 5.8060 1.4588
6.0131 8.7857 1.5008
6.4790 1.5345 3.0317
8.2548 8.3889 3.0271
8.7149 1.0118 1.4986

---

<two>
MgFe8O8F8 | the Materials Project database | PBE with a Hubbard U | optimized geometry; M_tot = 0.0 μB/f.u.
1.0
9.8927 0.1313 0.0000
0.1325 9.8968 0.0000
0.0000 0.0000 3.1473
Mg Fe O F
1 8 8 8
Cartesian
7.4075 0.2441 1.5737
0.6238 0.0517 0.0000
0.2469 4.9066 0.0000
2.3364 2.6165 1.5737
2.2614 7.2369 1.5737
5.0245 5.0064 0.0000
4.7529 9.8573 0.0000
7.7745 4.0126 1.5737
7.3196 7.0202 1.5737
- - -
**The page goes on:**
Ever wonder what a religion based on Dr. Seuss would sound like? Plebian at Daily Dollop has: Seussanetics (aka Seussentology).
Enidd has an enjoyably mashup of the joys of flying & the four yorkshire men. Luxury.
We’re not sure how to do this without the proper equipment, but Hazel has news of a cat who changed its Legal Name to the Sound of a Can Opener.
Al Nye has news that we hope the diet industry never gets its hands on: Jail Inmate Lost 1/3 Body Weight — Now Force Fed.
Madeleine Begun Kane has poetry parody about Bush’s Iraq Strategy.
Big Cajun Man has more news about how the Canadian mint is trying to take over the world in Poppy Quarters ?
Damian G. has done some digging and now the Identity of She of the infamous, “That’s what she said” retort revealed!.
Vox Poplar has a few words from Tinky Winky On Jerry Falwell’s Passing.
Xran The Space Pirate presents The World Bank “Scandal”.
And to finish up on a head-exploding post, Shamelle presents Unintentionally Funny Movie Conversations. Now, is this satire because these conversations are clearly intentionally funny? Or is it satire because the conversations are unintentionally funny and they just seem to be intentionally funny … or … boom. Anyway, they’re funny.
Thanks to everyone for submitting their posts. If you submitted something, and it didn’t make it into the carnival, it’s not that we don’t appreciate your work, but we just felt it wasn’t right for the carnival. In fact many submissions were quite funny/interesting/entertaining, but not really satire. Defining that is a moving target, but you’ll find our take on it here, in an essay on Satire’s Ugly Sisters. Thanks to these fine folks for helping us with webby-stuff: the Blog Carnival for their form; and the listings at the Ubercarnival, and at the Blog Carnival too.
[…] And now some links, for your reading pleasure: * Carnival of Satire * Carnival of the Insanities * Blog Carnival On Observations On Life * Carnival of Modern SageTechnorati Tags: TV Humor, Television Humor, American Idol, Blake and Melinda, Music Satire, Singing Humor, Singers, Vocals, Vocalists, Fox TV Humor Share and Enjoy:These icons link to social bookmarking sites where readers can share and discover new web pages. […]